(To do)
Work out how many lines further down have the word "Fe" in them; a number is enough, please.
(Input)
<<<
{"formula": "MgMn2O4", "functional": "GGA+U", "state": "optimized geometry", "lattice_angstrom": [[3.1571, -0.0602, 0.2190], [-1.6328, 2.8445, -0.0084], [0.7216, 0.3932, 10.0869]], "species": ["Mg", "Mn", "Mn", "O", "O", "O", "O"], "frac_coords": [[0.8536, 0.4242, 0.2123], [0.7281, 0.8587, 0.9351], [0.0267, 0.0191, 0.5146], [0.7245, 0.3631, 0.4123], [0.4396, 0.2153, 0.8878], [0.5743, 0.7846, 0.1456], [0.3196, 0.6683, 0.5985]], "energy_mp2020_ev_per_atom": -7.7641, "vol_a3_per_cell": 89.0, "ef_ev_per_atom": -2.09, "e_tot_ha_per_atom": -0.253}


{"formula": "FeP4O12", "functional": "GGA+U", "state": "optimized geometry", "lattice_angstrom": [[-1.0810, -2.5946, 8.7692], [0.9834, -8.9956, -2.5403], [11.7791, 0.8100, 1.6916]], "species": ["Fe", "Fe", "Fe", "Fe", "P", "P", "P", "P", "P", "P", "P", "P", "P", "P", "P", "P", "P", "P", "P", "P", "O", "O", "O", "O", "O", "O", "O", "O", "O", "O", "O", "O", "O", "O", "O", "O", "O", "O", "O", "O", "O", "O", "O", "O", "O", "O", "O", "O", "O", "O", "O", "O", "O", "O", "O", "O", "O", "O", "O", "O", "O", "O", "O", "O", "O", "O", "O", "O"], "frac_coords": [[0.7500, 0.0189, 0.2006], [0.2500, 0.4811, 0.7006], [0.7500, 0.5189, 0.2994], [0.2500, 0.9811, 0.7994], [0.7500, 0.7879, 0.5131], [0.0529, 0.7736, 0.6209], [0.4471, 0.7736, 0.6209], [0.2500, 0.7121, 0.0131], [0.7500, 0.0948, 0.5571], [0.5529, 0.2264, 0.3791], [0.9471, 0.2264, 0.3791], [0.2500, 0.2121, 0.4869], [0.7500, 0.2879, 0.9869], [0.0529, 0.2736, 0.8791], [0.2500, 0.9052, 0.4429], [0.2500, 0.4052, 0.0571], [0.7500, 0.5948, 0.9429], [0.5529, 0.7264, 0.1209], [0.9471, 0.7264, 0.1209], [0.4471, 0.2736, 0.8791], [0.4169, 0.8870, 0.7054], [0.0831, 0.8870, 0.7054], [0.2500, 0.8125, 0.9185], [0.2500, 0.0265, 0.1297], [0.5831, 0.1130, 0.2946], [0.9169, 0.1130, 0.2946], [0.7500, 0.1875, 0.0815], [0.7500, 0.9735, 0.8703], [0.2500, 0.0526, 0.5293], [0.0952, 0.1227, 0.8590], [0.4048, 0.1227, 0.8590], [0.6100, 0.1756, 0.5027], [0.8900, 0.1756, 0.5027], [0.2500, 0.1365, 0.1859], [0.1207, 0.2262, 0.4014], [0.3793, 0.2262, 0.4014], [0.6207, 0.2738, 0.9014], [0.9048, 0.8773, 0.1410], [0.7500, 0.3635, 0.6859], [0.1100, 0.3244, 0.0027], [0.3900, 0.3244, 0.0027], [0.5952, 0.3773, 0.3590], [0.9048, 0.3773, 0.3590], [0.7500, 0.4474, 0.0293], [0.2500, 0.5265, 0.3703], [0.2500, 0.3125, 0.5815], [0.0831, 0.3870, 0.7946], [0.4169, 0.3870, 0.7946], [0.5831, 0.6130, 0.2054], [0.9169, 0.6130, 0.2054], [0.7500, 0.6875, 0.4185], [0.7500, 0.4735, 0.6297], [0.2500, 0.5526, 0.9707], [0.0952, 0.6227, 0.6410], [0.4048, 0.6227, 0.6410], [0.6100, 0.6756, 0.9973], [0.8900, 0.6756, 0.9973], [0.2500, 0.6365, 0.3141], [0.1207, 0.7262, 0.0986], [0.3793, 0.7262, 0.0986], [0.6207, 0.7738, 0.5986], [0.8793, 0.7738, 0.5986], [0.7500, 0.8635, 0.8141], [0.1100, 0.8244, 0.4973], [0.3900, 0.8244, 0.4973], [0.5952, 0.8773, 0.1410], [0.7500, 0.9474, 0.4707], [0.8793, 0.2738, 0.9014]], "energy_mp2020_ev_per_atom": -7.0603, "vol_a3_per_cell": 1032.3, "ef_ev_per_atom": -1.80, "e_tot_ha_per_atom": -0.250}
>>>
(Outcome)
1